Open government is the law.
Georgia law states: “The General Assembly finds and declares that the strong public policies of this state support open government.”
The state's Sunshine Law correctly states that “open government is essential to a free, open, and democratic society.”
We couldn't agree more.
However, it does not matter whether local officials agree or disagree with the basic principles of open government because it is the law.
County commissioners, city council members, school board members, and all members of local government boards, commissions, boards, and authorities, recognize that all the government work they do is the work of the people. must be recognized.
Citizens have the right to know everything about their business.
Documents kept in government buildings belong to the people, not civil servants.
**Calculated molecules from another source follow:**
Record 1
8 unconnected molecules or ions with the total composition C26H70Cl4N6O6 in a non-equilibrium geometry, computed with wB97M-V/def2-TZVPD.

Each line ends with the Löwdin charge.
Element x y z (Å)
Cl -9.7574 5.3721 -0.6318  0.454
Cl -8.5415 4.0424 1.6391  0.492
Cl 2.6822 6.9490 -1.1713  0.499
Cl 4.4090 4.9797 0.2449  0.445
O -10.4293 -3.3801 5.7987  -0.209
O -1.7544 3.6565 -10.6211  -0.218
O 11.9880 -3.1019 0.0409  -0.228
O 0.7327 9.3779 5.7726  -0.211
O -1.5399 -0.5500 0.7369  -0.209
O 2.5553 -10.5360 0.3542  -0.207
N -8.4822 -2.8839 7.9075  0.033
N -2.1090 8.7345 3.5503  0.020
N 5.0280 -11.0608 -1.0965  0.020
N 1.1773 3.9856 -9.7416  0.044
N 9.7467 -4.9878 0.7142  0.031
N -1.8331 2.2776 0.3528  0.030
C -1.3368 8.8994 4.7563  -0.452
C -8.7056 -2.0391 6.7852  -0.468
C 2.8383 -11.2115 -2.2140  -0.060
C -11.7961 -3.5739 5.3981  -0.111
C 1.5174 -9.9606 1.0914  -0.144
C 3.8491 -10.2580 -1.5407  -0.404
C -8.3361 5.3669 0.4924  -1.003
C -1.1046 3.0084 -9.5056  -0.199
C 9.7148 -4.0569 -0.3494  -0.462
C -7.8395 -2.4117 5.6221  -0.074
C 13.0840 -2.3668 -0.4747  -0.131
C 3.2782 -9.4764 -0.3359  -0.165
C 8.8739 -2.8306 0.0988  -0.054
C -2.4632 1.3197 -0.5505  -0.443
C -0.6980 -1.6584 0.8144  -0.109
C -0.4201 5.1631 -8.4819  -0.083
C 11.1254 -3.7864 -0.9519  -0.130
C 2.0661 9.7235 5.6339  -0.119
C 0.1745 8.9234 4.5537  -0.206
C 4.3459 6.4485 -0.8310  -0.992
C -1.7014 -0.0509 -0.5856  -0.196
C -1.8648 7.7945 5.6432  -0.064
C -10.2444 -2.1063 6.5033  -0.156
C -2.8544 2.8703 -11.1992  -0.072
C -2.5306 1.9719 -1.9211  -0.076
C 0.0184 3.8241 -8.8889  -0.478
H -3.5389 2.6172 -10.3895  0.074
H -1.3519 5.1408 -7.9169  0.084
H -8.0714 -3.4039 5.2349  0.078
H 0.2397 5.6637 -7.7733  0.082
H -11.9584 -4.2203 4.5355  0.078
H -3.2034 3.4091 -12.0800  0.093
H 9.2444 -2.2684 0.9560  0.075
H 1.8753 -10.7037 -2.2670  0.075
H 8.7783 -2.1802 -0.7706  0.074
H 12.5791 -1.4938 -0.8883  0.083
H -0.8284 0.2381 -1.1707  0.118
H -12.4392 -4.0298 6.1509  0.082
H -1.9438 2.7869 -8.8462  0.117
H -8.5127 -0.9899 7.0094  0.134
H 13.7959 -2.7469 -1.2074  0.080
H 5.0371 7.1903 -0.4309  0.033
H 4.0334 -9.0879 0.3473  0.122
H -6.7822 -2.3892 5.8859  0.079
H -1.8442 7.8169 3.2216  0.066
H -10.4797 -1.2613 5.8562  0.110
H 11.7261 -4.6578 -1.2124  0.120
H 13.7638 -2.0964 0.3333  0.083
H 2.1992 10.1163 6.6419  0.097
H -7.4844 -2.8333 8.0556  0.068
H 11.0575 -3.0306 -1.7344  0.110
H -2.5731 1.8265 -11.3390  0.073
H 4.7396 6.1275 -1.7954  0.014
H -1.3839 7.6300 6.6074  0.080
H -0.7315 2.0565 -9.8835  0.117
H 0.3491 3.2894 -7.9985  0.140
H -10.9323 -2.0344 7.3458  0.121
H -1.8140 9.3452 2.8019  0.069
H 2.1165 10.4858 4.8564  0.089
H 1.1984 -10.7220 1.8031  0.083
H 2.6322 -12.1485 -1.6967  0.079
H 0.7752 4.2602 -10.6265  0.069
H -8.0227 -1.6935 4.8229  0.081
H 0.6238 -9.9042 0.4699  0.086
H 1.7322 -9.0723 1.6854  0.089
H -2.9162 7.9883 5.8555  0.076
H 7.9161 -3.2798 0.3616  0.075
H 4.2488 -9.5366 -2.2535  0.118
H -0.8687 2.2932 0.0533  0.065
H 0.3603 9.6949 3.8064  0.115
The public has a strong interest in government transparency. To hold government accountable, it is important to be able to attend public meetings and hear all public business deliberations.
Access to public records, including financial records, is equally important.
Open government laws do not exist to protect and support the media. The Sunshine Act exists to protect the public.
A government of the people and for the people must always stand before the people.
Although there are narrow exceptions to the law regarding open meetings and records, those exceptions should not become the rule or the norm.
All exceptions should be interpreted as narrowly as possible.
Lawmakers have made clear that there should be a strong presumption of openness whenever the question is whether a record is a public record or whether a meeting should be a public meeting.
Therefore, if local authorities are in doubt about whether something can be discussed at an executive meeting, they should choose public rather than private.
If you are in doubt whether a requested record should be made available to the requester, you should grant the request rather than deny it.
If they're going to err in either direction, it's always best to err on the side of openness.
If elected officials had discussed in good faith in a public meeting what could have been discussed behind closed doors, they would not have violated state law by doing so.
If a records custodian provides a record that would be exempt under the Public Records Act in good faith and fails to disclose personal information related to national security or proprietary trade secrets, the records custodian may You will not be held legally responsible for retaining the . I did that.
Hiding official business is not only a violation of the law, but also a violation of public trust.
It's a shame that we even need a state law to tell local governments to do what comes naturally. Keeping the public's business open to the public.